.'Jojoba' is a fucking great word.

(Fingers between lips) "Ooohaflabublabflubafluh".
Misplaced calculated crystals:
********
This record from the Alexandria database describes an optimized crystal structure of Rb3CoS. The functional is PBEsol.

Cell: 6.2701 6.2701 6.2701 Å, 90.00 90.00 90.00°
Sites, in units of the cell vectors:
Rb  0.0000  0.5000  0.0000
Rb  0.0000  0.0000  0.5000
Rb  0.5000  0.0000  0.0000
S  0.0000  0.0000  0.0000
Co  0.5000  0.5000  0.5000

Summary:
D(E_F) in states/eV/f.u.: 8.936
Calculated volume in Å³/cell: 247
Magnetization in μB per formula unit: 2.00
E_tot in eV per cell: -14.073
SG: No. 221
Formation energy from raw total energies in eV per atom: 0.225

***

This record from the Alexandria database describes an optimized crystal structure of Hf3AlTe. The functional is PBEsol.

Cell: 4.9216 4.9216 4.9216 Å, 90.00 90.00 90.00°
Sites, in units of the cell vectors:
Te  0.5000  0.5000  0.5000
Hf  0.0000  0.0000  0.5000
Hf  0.0000  0.5000  0.0000
Hf  0.5000  0.0000  0.0000
Al  0.0000  0.0000  0.0000

Summary:
D(E_F) in states/eV/f.u.: 4.532
Calculated volume in Å³/cell: 119
Magnetization in μB per formula unit: 0.00
E_tot in eV per cell: -35.815
SG: No. 221
Formation energy from raw total energies in eV per atom: 0.662

***

This record from the Alexandria database describes an optimized crystal structure of SiAgSb2. The functional is PBEsol.

Cell: 6.2235 6.2235 7.2817 Å, 115.30 115.30 90.00°
Sites, in units of the cell vectors:
Ag  0.0000  0.0000  0.0000
Ag  0.2500  0.7500  0.5000
Si  0.5000  0.5000  0.0000
Si  0.7500  0.2500  0.5000
Sb  0.1250  0.1354  0.7500
Sb  0.3854  0.8750  0.2500
Sb  0.8646  0.3750  0.2500
Sb  0.6250  0.6146  0.7500

Summary:
D(E_F) in states/eV/f.u.: 1.750
Calculated volume in Å³/cell: 225
Magnetization in μB per formula unit: 0.00
E_tot in eV per cell: -34.601
SG: No. 122
Formation energy from raw total energies in eV per atom: 0.218


Entry from the Alexandria database: a relaxed structure of P2IrCl (PBE).

Summary:
**Distance to the lowest polymorph of the same formula**: 0.663 eV per atom
**Calculated density**: 7765 kg/m³
**N(E_F)**: 2.97 states/eV per cell
**Formation energy (no corrections)**: 1.5 eV/f.u.
**Energy**: -40.0 eV for the cell shown

Lattice parameters (Å, degrees): 4.900 4.900 5.160 90.00 90.00 90.00
Space group I4/mmm (No. 139)
One atom of each set of equivalent atoms:
1 P 0.000 0.500 0.000 [4 per cell]
2 Ir 0.000 0.000 0.000 [2 per cell]
3 Cl 0.000 0.000 0.500 [2 per cell]

---

Entry from the Alexandria database: a relaxed structure of PIr2Cl (PBE).

Summary:
**Distance to the lowest polymorph of the same formula**: 0.415 eV per atom
**Calculated density**: 10453 kg/m³
**N(E_F)**: 6.52 states/eV per cell
**Formation energy (no corrections)**: 1.5 eV/f.u.
**Energy**: -23.5 eV for the cell shown

Lattice parameters (Å, degrees): 2.865 2.865 8.729 90.00 90.00 90.00
Space group P4mm (No. 99)
One atom of each set of equivalent atoms:
1 P 0.000 0.000 0.000 [1 per cell]
2 Ir 0.000 0.000 0.613 [1 per cell]
3 Ir 0.500 0.500 0.834 [1 per cell]
4 Cl 0.500 0.500 0.406 [1 per cell]

---
********
Big fish little fish cardboard box.
Whooh! Wharghooah whoo!
(Poised like a cat) "langer!"
Seriously though, this is not funny anymore. No, no not the blog - oh alright then neither is the blog. Who am I to know? You don't ask a spastic about his thoughts on Descartes either, do you? Yeah, well, next time keep a lid on it, fool.
A Husky incisor accidently knocked against a knuckle while play-fighting fucking hurts by the way. Huskies do not fuck about when they play. Like any decent being. 'Avin it.
So anyway you've already guessed I'm spending another day shuffling around and eventually drinking, disappointing the dog who thinks I'm a total wanker for play-fighting for two minutes with one arm and stooped like a motherfucker. Fuck him anyway, the beautiful cunt.
On Christmas Eve I braved the pain, got on my motorbike and headed to a huge book/cd store to get a couple of gifts. I knew I was pretty haggard and had to walk like an octogenarian, but I didn't expect to be laughed at. A group of adult women pointed and shrieked with mirth as I waddled down some stairs, me all bearded up and right dizzy. I was gutted to be quite honest. That I didn't have the strength to glare at them and spit profanities. Fucking bitches. Instead, to my shame, I hung my head in shame, thinking I was the one to blame, but later, in the lane, when Elaine tried to relieve my pain, it was clear that it was they who were lame, the ball in my court with everything to gain.
Tinsel. Fuck tinsel. Give me a decent bauble anyday. Not only are they shiny, they are usually round. Tinsel is not round. It is long and sometimes furry. Furry fucking tinsel is the worst. Stupid fucking word as well 'tinsel'. Fuck off with your tinsel.
Do you know what I'm looking forward to? Trying DMT! I've resisted it for years, it's been my deferred gratification rather than going to college and getting a decent job. One must have priorities you know.
I want to get the fuck away from Demented Isle. My flying days are over since I developed a very healthy terror of being corralled like cattle and herded onto a metal tube, to be shot into the air to a cruising altitude of 35,000ft. Fuck. That. Shit. So I reckon I might get on a freighter, and take a leisurely three week passage back to Europe. Mainly because I have great success getting off with women while travelling, and I fancy a bit of strange. Old-strange. The oldest woman I've gotten it on with was a 40-ish mad Swedish bint who tried to jack me off in the middle of a bar in Thailand. Fucking hell!
I 'spose you didn't really need to know that, did you. Well it's too late now, cupcake. The die is cast. The bird has flown. The shop is shut. The milk is spilt. The cat is stoked. Jesus.
You've gotta laugh though, what? Like me when I saw a scooter accident the other day. Understand, Demented Isle is scooter-land, and driving here is pure fucking Bedlam. It's mostly bang out of order, but if you've been here long enough you become inured to it, and then go as mental as the natives. Accidents are so common, when you see two scooters smash into each other one tends to see the funny side and ignore the shattered bones etc. So anyway I'm waiting for some sushi at a little restaurant on a busy road. An old boy comes flying out of an alley without checking at all and some young scooter-punk broadsides the silly fucker. They both go flying and the old boy stands up and starts having a right go at the young 'un. Cars stopped, pedestrians paused, everyone laughing fit to burst. It's a cruel world, my friends. Specially if you read Hotrocks. I feel your pain.
If you can remember 'Beat Street' you're alright in my book. You can't, can you? You were into Iron Maiden in 1986, weren't you? Square. Or those 'Welcome to the Jungle' cunts, what the fuck were they called again? Long-haired widdly-widdly guitar solo fucks. I was lugging a piece of lino around doing no-handed windmills, buying Electro albums and getting arrested for vandalism. And now I feel old. Thanks a bunch. Of cunts.
I dare you to make a techno tune by sampling Leonard Cohen's 'Bird on a Wire'. My friend G. would love that shit. It was a trick dare anyway - it can't be done. Unless you want to burn in hell of course. If that's the case, have away at it.
Does this make my bum look big?
"I knew the internet was doomed". First time reader of Hotrocks.